Rule 15
Rule 8
Rule 12
Rule 11
In what times do you get to amend without consent? 

21 days after service or answer 


What is 8(a)(1)? 

short and plain statement on the grounds of the courts jurisdiction


How long do you have to answer if a motion is granted or denied? 

14 days 


What must a lawyer due on every document? 

Sign it


How would you define plausibility in Twiqbal? 

“court can draw reasonable inferences that the defendant is liable for the misconduct alleged.”


What is the time to respond after an amend?

14 days after amend or 21 days from service, whatever is longer. 


What is 8(a)(3)? 

demand for relief sought 


What are the 7 motions under 12B

  1. ack of Subject Matter Jurisdiction (Anytime)

  2. Lack of Personal Jurisdiction (Before answer - Special appearance) 

  3. Improper Venue (Before answer) 

  4. Improper Process (Before answer) 

  5. Improper Service of Process (Before answer) 

  6. Failure to state a claim in which D is entitled to relief (Before answer or in Pleading) 

• Between two parts of the text: crystal structures:
-- begin --
# Sm3ReO7
Theoretical XRD peak list, Cu Kα (weighted mean of Kα1 and Kα2). Input: the PBE geometry in OQMD.
Peak positions follow from Bragg's law for the DFT cell and can differ from measured ones.

Crystal structure
```
data_Sm3ReO7
_chemical_formula_sum 'Sm12 Re4 O28'
_cell_length_a 10.760
_cell_length_b 7.354
_cell_length_c 7.509
_cell_angle_alpha 90.00
_cell_angle_beta 90.00
_cell_angle_gamma 90.00
_space_group_name_H-M_alt 'C m c m'
_space_group_IT_number 63
_space_group_name_Hall '-C 2c 2'
loop_
_atom_site_label
_atom_site_type_symbol
_atom_site_fract_x
_atom_site_fract_y
_atom_site_fract_z
Sm1 Sm 0.000 0.000 0.000
Sm2 Sm 0.224 0.302 0.250
Re1 Re 0.000 0.500 0.000
O1 O 0.000 0.420 0.250
O2 O 0.127 0.310 0.539
O3 O 0.131 0.025 0.250
```

Main lines, in order of rising 2θ (15° ≤ 2θ ≤ 90°):
h k l  2θ/deg  Rel. int.
2 0 2  29.0  100
2 2 0  29.4  86
2 2 1  31.8  11
4 0 0  33.3  23
0 2 2  34.1  43
0 0 4  48.5  63
6 0 2  56.9  10
2 2 4  57.7  26
2 4 2  58.5  15
4 0 4  60.1  10


# La2PrSmSe3O4
Theoretical XRD peak list, Cu Kα (weighted mean of Kα1 and Kα2). Input: the PBE geometry in OQMD.
Peak positions follow from Bragg's law for the DFT cell and can differ from measured ones.

Crystal structure
```
data_La2PrSmSe3O4
_chemical_formula_sum 'La4 Pr2 Sm2 Se6 O8'
_cell_length_a 8.499
_cell_length_b 4.050
_cell_length_c 12.988
_cell_angle_alpha 90.00
_cell_angle_beta 90.00
_cell_angle_gamma 90.00
_space_group_name_H-M_alt 'A m m 2'
_space_group_IT_number 38
loop_
_space_group_symop_operation_xyz
'x,y,z'
'-x,-y,z'
'-x,y,z'
'x,-y,z'
'x,y+1/2,z+1/2'
'-x,-y+1/2,z+1/2'
'-x,y+1/2,z+1/2'
'x,-y+1/2,z+1/2'
loop_
_atom_site_label
_atom_site_type_symbol
_atom_site_fract_x
_atom_site_fract_y
_atom_site_fract_z
La1 La 0.237 0.000 0.000
Pr1 Pr 0.500 0.000 0.330
Sm1 Sm 0.000 0.000 0.318
Se1 Se 0.000 0.000 0.635
Se2 Se 0.351 0.000 0.674
O1 O 0.000 0.000 0.902
O2 O 0.240 0.000 0.403
O3 O 0.500 0.000 0.931
```

Main lines, in order of rising 2θ (15° ≤ 2θ ≤ 90°):
h k l  2θ/deg  Rel. int.
2 0 2  25.0  54
0 1 3  30.2  100
2 1 1  31.3  53
2 0 4  34.8  27
0 0 6  41.7  15
0 2 0  44.7  20
2 1 5  46.7  23
2 2 2  52.0  15
4 1 3  53.1  16
2 1 7  58.9  15


# TlOsAu3O4
Theoretical XRD peak list, Cu Kα (weighted mean of Kα1 and Kα2). Input: the PBE geometry in OQMD.
Peak positions follow from Bragg's law for the DFT cell and can differ from measured ones.

Crystal structure
```
data_TlOsAu3O4
_chemical_formula_sum 'Tl1 Os1 Au3 O4'
_cell_length_a 5.763
_cell_length_b 5.763
_cell_length_c 5.763
_cell_angle_alpha 90.00
_cell_angle_beta 90.00
_cell_angle_gamma 90.00
_space_group_name_H-M_alt 'P -4 3 m'
_space_group_IT_number 215
_space_group_name_Hall 'P -4 2 3'
loop_
_atom_site_label
_atom_site_type_symbol
_atom_site_fract_x
_atom_site_fract_y
_atom_site_fract_z
Tl1 Tl 0.000 0.000 0.000
Os1 Os 0.500 0.500 0.500
Au1 Au 0.000 0.500 0.500
O1 O 0.308 0.308 0.308
```

Main lines, in order of rising 2θ (15° ≤ 2θ ≤ 90°):
h k l  2θ/deg  Rel. int.
1 0 0  15.4  27
1 1 0  21.8  22
-- stop --

  7. Failure to join party (Before answer or in pleading) 


What is reasonable under the circumstances? 

Depends on the circumstances. Look at the facts and the circumstances and make a reasonable basis of truth or lie


Affirmative defenses? 

If you do not use them, then you lose them.


Can there be an amendment at trial? What about if you allow the evidence to be heard but don't object it? 

Yes -- No, if you don't object during trial. 

What is 8(a)(2)? 

Short and plain statement showing that the pleader is entitled to relief 


What is motion for judgment on the pleading 

  • After pleading stage is over 

  • Move to win case based on pleading and answer 

  • Asking for judgment just on pleading 


4 grounds for sanctions 

  1. Presented for improper purpose (harass, delay)

  2. Warranted by existing law and not frivolous arguments 

  3. Factual Allegation have evidentiary support

  4. Warranted on the evidence 

Extra points on Plausibility standard 
  1. Show why they are insufficient 

  2. “Didn’t rule out other explanations” 

  3. “Just pleasing facts consistent with allegations isn’t enough” 


What are the parts of relation back for new claims? 

state law allows it


comes out of common transaction or occurrence 


Compare and Contrast facts of Twiqbal 

  1. Twimbol- Just pleading facts that were consistent with conspiracy was not enough. The companies went to all 4 corners to do business. 

  2. Iqbal- Just pleading facts that were consistent with discrimination was not enough. Because he was muslim and being locked up doesn’t mean it was desciminatiory, rather, 9/11 and Al-Queda proved to be the actual reason. 


Motion for more definite statement 

  • Complaint is so vague or ambiguous that Defendant can not responsibly prepare a response

  • Examples: Typo’s or can't understand, No subjects 

  • Don’t admit or deny, ask court to fix 

  • *Don’t confuse this with Twiqbal 


What is the Safe Harbor rule? 

A motion for sanctions must be made separately. Non-moving party has 21 days to fix their mistake before sanctions can be applied


Who all can be sanctioned? 

Attorney, client, and firm 


What are the parts of relation back for adding a different party? 

Common nucleus 


Within 90 days they should have received notice of a lawsuit 


Did outsider know or should have known the original action would have been brought against them if the plaintiff did not mess up?


What does 8(b)(1) state? 

  1. Short and plain terms its defense to each claim asserted against it

  2. Admit or deny the allegations against it; Claim by Claim 


Motion to strike 

  • Court can do it on its own or by filing a motion 

  • Can do so if redundant 

  • Immaterial: Does not relate to claim 

  • Impertinent or Scandalous: No relation, in here to humiliate or harass 


How do court sanctions work with penalties? 

  1. Non-monetary directive

  2. Order to pay a penalty to the court

  3. Payment to the movant or attorney’s fees and other expenses directly resulting from violations

     (C)(5) Court can not impose monetary sanctions on a client for violating 11(b)(2) 

     (C)(6) An order imposing a sanction must describe the sanctioned conduct and explain the basis for the sanction


What is coffee called? 

Dirty Bean Juice